[Entries]
The following is a quantum chemistry calculation of a molecular structure, C20H43NO15P4S, from the Open Molecules 2025 dataset.

Summary:
LUMO energy: -0.0521 hartree
E: -101630.379 eV
strongest force on any atom: 9.00 eV Å⁻¹

Each line ends with the Mulliken charge.
Geometry (Å):
1 C 1.41 -0.23 2.05  -1.023
2 C 0.84 -0.28 0.55  -0.024
3 C -0.66 0.22 0.61  -0.621
4 O -0.63 1.63 0.92  -0.082
5 O -0.37 2.28 -0.29  -0.024
6 P -0.98 3.84 -0.12  0.973
7 O -2.23 3.93 -0.89  -0.749
8 O 0.16 4.83 -0.79  -0.429
9 C 1.41 4.72 -0.13  0.428
10 C 2.53 4.09 -0.78  -0.215
11 C 3.85 3.90 -0.20  -0.384
12 C 3.94 4.47 1.17  -0.424
13 C 2.74 5.11 1.67  -0.281
14 N 1.52 5.24 1.11  -0.390
15 O -1.13 4.11 1.50  -0.159
16 P -2.67 4.52 1.97  0.759
17 O -3.31 5.77 1.10  -0.440
18 O -2.50 5.11 3.51  -0.554
19 S -3.86 2.98 2.10  -0.377
20 H 1.88 -1.22 2.28  0.314
21 H 0.57 -0.06 2.78  0.257
22 H 2.15 0.59 2.16  0.265
23 H 0.85 -1.35 0.21  0.354
24 H 1.48 0.36 -0.11  0.013
25 H -1.08 0.13 -0.43  0.299
26 H -1.27 -0.30 1.38  0.338
27 H 2.36 3.69 -1.81  0.357
28 H 4.70 3.41 -0.71  0.488
29 H 4.89 4.40 1.75  0.345
30 H 2.85 5.56 2.69  0.322
31 H -4.14 5.39 0.74  0.361
32 H -3.29 4.86 4.02  0.351
33 O 5.74 0.87 -3.24  -0.782
34 P 5.76 -0.62 -2.95  1.164
35 O 6.48 -1.05 -4.39  -0.414
36 C 7.66 -0.40 -4.82  -0.341
37 C 8.89 -0.87 -4.07  -0.917
38 O 4.19 -0.91 -3.38  -0.379
39 C 3.23 0.14 -3.36  -0.084
40 C 3.12 0.80 -4.73  -1.188
41 O 5.76 -2.22 -2.44  -0.334
42 C 6.58 -3.28 -2.91  -0.077
43 C 7.74 -3.53 -1.95  -1.140
44 H 7.57 0.69 -4.75  0.291
45 H 7.78 -0.64 -5.88  0.324
46 H 8.78 -0.68 -3.00  0.196
47 H 9.78 -0.36 -4.43  0.414
48 H 9.03 -1.95 -4.20  0.225
49 H 3.46 0.87 -2.58  0.188
50 H 2.26 -0.31 -3.10  0.337
51 H 4.09 1.04 -5.14  0.293
52 H 2.53 1.71 -4.67  0.345
53 H 2.63 0.12 -5.43  0.332
54 H 6.93 -3.15 -3.93  0.239
55 H 5.95 -4.17 -2.93  0.347
56 H 8.26 -2.60 -1.71  0.267
57 H 8.45 -4.24 -2.38  0.336
58 H 7.37 -3.94 -1.01  0.353
59 O -5.06 -1.15 2.76  -0.798
60 P -6.50 -1.60 2.66  1.196
61 O -6.19 -3.12 2.09  -0.396
62 C -5.23 -3.95 2.72  -0.327
63 C -5.75 -4.54 4.02  -0.918
64 O -6.87 -0.86 1.24  -0.378
65 C -6.10 0.25 0.77  -0.242
66 C -4.99 -0.21 -0.15  -0.911
67 O -8.15 -1.91 2.78  -0.388
68 C -8.78 -3.17 2.86  -0.068
69 C -9.15 -3.49 4.30  -1.137
70 H -4.29 -3.41 2.89  0.285
71 H -5.00 -4.76 2.03  0.331
72 H -6.02 -3.75 4.72  0.189
73 H -4.99 -5.17 4.49  0.412
74 H -6.64 -5.15 3.84  0.231
75 H -5.71 0.83 1.61  0.199
76 H -6.77 0.91 0.22  0.307
77 H -4.43 -1.05 0.27  0.236
78 H -4.29 0.60 -0.35  0.259
79 H -5.40 -0.55 -1.10  0.331
80 H -8.22 -3.98 2.41  0.237
81 H -9.70 -3.09 2.28  0.350
82 H -8.30 -3.34 4.97  0.263
83 H -9.50 -4.52 4.39  0.336
84 H -9.95 -2.83 4.65  0.353
[Exercise]
It remains to reproduce only the lines above with the word "from" in them.
[Response]
The following is a quantum chemistry calculation of a molecular structure, C20H43NO15P4S, from the Open Molecules 2025 dataset.